Improving performance for applications that access distributed data

The key to improving the performance of applications that access remote data is to limit the number of network transmissions.

About this task

A query that is sent to a remote system can sometimes take longer to execute than the same query, accessing tables of the same size, on the local Db2 subsystem. The principal reasons for this potential increase in execution time are:

  • The time required to send messages across the network
  • Overhead processing, including startup and communication subsystem session management

Some aspects of overhead processing, for instance, network processing, are not under Db2 control.

Monitoring and tuning performance in a distributed environment is a complex task that requires knowledge of several products.


To maximize the performance of an application that accesses distributed data, use the following approaches:

Records of crystals from another source follow =
=====
No. 1
Entry from Alexandria: crystalline CeSm6Tm3 at its relaxed geometry (PBE-GGA).

a b c (Å): 5.5670 10.0197 12.3835
angles (deg): 90.00 103.65 90.00
Atoms (fractional coordinates):
Ce (0.5000, 0.5000, 0.5000)
Ce (0.0000, 0.0000, 0.0000)
Sm (0.4370, 0.8293, 0.8540)
Sm (0.4974, 0.8185, 0.5002)
Sm (0.3550, 0.4987, 0.2358)
Sm (0.6450, 0.5013, 0.7642)
Sm (0.5026, 0.1815, 0.4998)
Sm (0.5630, 0.1707, 0.1460)
Sm (0.9370, 0.6707, 0.3540)
Sm (0.9974, 0.6815, 0.0002)
Sm (0.8550, 0.0013, 0.7358)
Sm (0.1450, 0.9987, 0.2642)
Sm (0.0026, 0.3185, 0.9998)
Sm (0.0630, 0.3293, 0.6460)
Tm (0.4485, 0.1689, 0.8650)
Tm (0.5000, 0.5000, 0.0000)
Tm (0.5515, 0.8311, 0.1350)
Tm (0.9485, 0.3311, 0.3650)
Tm (0.0000, 0.0000, 0.5000)
Tm (0.0515, 0.6689, 0.6350)

Total magnetization ... 1.89 Bohr magnetons per cell
Crystal system ... monoclinic
Formation energy ... 0.23 eV/atom
Mass density ... 7.7 Mg/m³
Calculated total energy ... -4.536 eV per atom
Fermi-level density of states ... 36.21 states/eV per cell
Space-group type ... P2_1/c, No. 14

No. 2
Entry from Alexandria: crystalline CeSm6Tm5 at its relaxed geometry (PBE-GGA).

a b c (Å): 5.0593 10.0260 9.4176
angles (deg): 122.16 105.59 90.00
Atoms (fractional coordinates):
Tm (0.6663, 0.1662, 0.3324)
Tm (0.3323, 0.3321, 0.6643)
Tm (0.0000, 0.5000, 0.0000)
Tm (0.6677, 0.6679, 0.3357)
Tm (0.3337, 0.8338, 0.6676)
Ce (0.0000, 0.0000, 0.0000)
Sm (0.8349, 0.5847, 0.6698)
Sm (0.8349, 0.0850, 0.6698)
Sm (0.5000, 0.7508, 0.0000)
Sm (0.5000, 0.2492, 0.0000)
Sm (0.1651, 0.9150, 0.3302)
Sm (0.1651, 0.4153, 0.3302)

Total magnetization ... 1.12 Bohr magnetons per cell
Crystal system ... orthorhombic
Formation energy ... 0.04 eV/atom
Mass density ... 8.2 Mg/m³
Calculated total energy ... -4.678 eV per atom
Fermi-level density of states ... 19.37 states/eV per cell
Space-group type ... Immm, No. 71

No. 3
Entry from Alexandria: crystalline Ce2SmTm at its relaxed geometry (PBE-GGA).

a b c (Å): 3.5012 3.5012 11.7480
angles (deg): 81.43 81.43 60.00
Atoms (fractional coordinates):
Ce (0.0850, 0.0850, 0.7451)
Ce (0.2477, 0.2477, 0.2568)
Sm (0.6681, 0.6681, 0.9957)
Tm (0.4992, 0.4992, 0.5024)

Total magnetization ... 1.63 Bohr magnetons per cell
Crystal system ... trigonal
Formation energy ... 0.09 eV/atom
Mass density ... 8.1 Mg/m³
Calculated total energy ... -5.170 eV per atom
Fermi-level density of states ... 10.52 states/eV per cell
ΔE to the lowest computed polymorph ... 0.0000 eV/atom
Space-group type ... R3m, No. 160

No. 4
Entry from Alexandria: crystalline CeSmY3Tm at its relaxed geometry (PBE-GGA).

a b c (Å): 5.0511 7.9482 10.0828
angles (deg): 90.00 90.00 108.53
Atoms (fractional coordinates):
Ce (0.4988, 0.9977, 0.7500)
Ce (0.5012, 0.0023, 0.2500)
Sm (0.0000, 0.0000, 0.5000)
Sm (0.0000, 0.0000, 0.0000)
Y (0.6646, 0.3293, 0.4996)
Y (0.3354, 0.6707, 0.5004)
Y (0.3354, 0.6707, 0.9996)
Y (0.6646, 0.3293, 0.0004)
Y (0.1670, 0.3340, 0.7500)
Y (0.8330, 0.6660, 0.2500)
Tm (0.8337, 0.6675, 0.7500)
Tm (0.1663, 0.3325, 0.2500)
=====

  • Write any queries that access distributed data according to the following recommendations to limit the number of messages that these queries send over the network:
    • Reduce the number of columns and rows in the result table by keeping the select lists as short as possible, and use the WHERE, GROUP BY, and HAVING clauses to eliminate unwanted data at the remote server.
    • For queries that return thousands of rows, specify the FOR FETCH ONLY or FOR READ ONLY clause when possible. You can then bind the applications that contain those queries with the DBPROTOCOL(DRDACBF) option to enable Db2 to use package-based continuous block fetch to retrieve the rows. With this type of continuous block fetch, the requester opens a secondary connection to the server for each cursor. The server can then send the data for all cursors concurrently.

      Use of this form of continuous block fetch can result in better performance than use of the SQL-based continuous block fetch.

  • For queries that have potentially large result tables, but need only a limited number of rows, specify the FETCH FIRST n ROWS ONLY clause.
    This clause limits the number of rows that are returned to a client program.
    For example, suppose that you need only one row of the result table. You can add the FETCH FIRST 1 ROW ONLY clause, as shown in the following example:
    In this case, the FETCH FIRST 1 ROW ONLY clause prevents 15 unnecessary prefetches.
  • If your program accesses LOB columns in a remote table, use the following techniques to minimize the number of bytes that are transferred between the client and the server:
    • Use LOB locators instead of LOB host variables.

      If you need to store only a portion of a LOB value at the client, or if your client program manipulates the LOB data but does not need a copy of it, LOB locators are a good choice. When a client program retrieves a LOB column from a server into a locator, Db2 transfers only the 4-byte locator value to the client, not the entire LOB value.

    • Use stored procedure result sets.

      When you return LOB data to a client program from a stored procedure, use result sets rather than passing the LOB data to the client in parameters. Using result sets to return data causes less LOB materialization and less movement of data among address spaces.

    • Set the CURRENT RULES special register to Db2.

      When a Db2 server receives an OPEN request for a cursor, the server uses the value in the CURRENT RULES special register to determine the type of host variables that the associated statement uses to retrieve LOB values. If you specify a value of Db2 for the CURRENT RULES special register before you perform a CONNECT, and the first FETCH statement for the cursor uses a LOB locator to retrieve LOB column values, Db2 lets you use only LOB locators for all subsequent FETCH statements for that column until you close the cursor. If the first FETCH statement uses a host variable, Db2 lets you use only host variables for all subsequent FETCH statements for that column until you close the cursor. However, if you set the value of CURRENT RULES to STD, Db2 lets you use the same open cursor to fetch a LOB column into either a LOB locator or a host variable.

      Although a value of STD for the CURRENT RULES special register gives you more programming flexibility when you retrieve LOB data, you get better performance if you use a value of Db2. With the STD option, the server must send and receive network messages for each FETCH statement to indicate whether the data that is being transferred is a LOB locator or a LOB value. With the Db2 option, the server knows the size of the LOB data after the first FETCH, so an extra message about LOB data size is unnecessary. The server can send multiple blocks of data to the requester at one time, which reduces the total time for data transfer.

    For example, suppose that a user wants to browse through a large set of employee records and look at pictures of only a few of those employees. At the server, you set the CURRENT RULES special register to Db2. In the application, you declare and open a cursor to select employee records. The application then fetches all picture data into 4-byte LOB locators. Because Db2 knows that 4 bytes of LOB data is returned for each FETCH statement, Db2 can fill the network buffers with locators for many pictures. When a user wants to see a picture for a particular person, the application can retrieve the picture from the server by assigning the value that is referenced by the LOB locator to a LOB host variable. This situation is implemented in the following code:
    SQL TYPE IS BLOB my_blob[1M];
    FETCH C1 INTO :my_loc;    /* Fetch BLOB into LOB locator  */
    SET :my_blob = :my_loc; /* Assign BLOB to host variable */
  • Ensure that each cursor meets one of the following conditions when possible, so that Db2 uses block fetch to minimize the number of messages that are sent across the network:
    • The cursor is declared with either the FOR FETCH ONLY or FOR READ ONLY clause.
    • The cursor is a non-scrollable cursor, and the result table of the cursor is read-only.
    • The cursor is a scrollable cursor that is declared as INSENSITIVE, and the result table of the cursor is read-only.
    • The cursor is a scrollable cursor that is declared as SENSITIVE, the result table of the cursor is read-only, and the value of the CURRENTDATA bind option is NO.
    • The result table of the cursor is not read-only, but the cursor is ambiguous, and the value of the CURRENTDATA bind option is NO.
      A cursor is ambiguous when any of the following conditions are true:
      • It is not defined with the clauses FOR FETCH ONLY, FOR READ ONLY, or FOR UPDATE.
      • It is not defined on a read-only result table.
      • It is not the target of a WHERE CURRENT clause on an SQL UPDATE or DELETE statement.
      • It is in a plan or package that contains the SQL statements PREPARE or EXECUTE IMMEDIATE.
  • For ODBC and JDBC applications, use the rowset parameter to limit the number of rows that are returned from a fetch operation.
    If a DRDA requester sends the rowset parameter to a Db2 server, the server performs the following actions:
    • Returns no more than the number of rows in the rowset parameter
    • Returns extra query blocks if the value of the EXTRA BLOCKS SRV field on the DISTRIBUTED DATA FACILITY PANEL 2 installation panel on the server allows extra query blocks to be returned
    • Processes the FETCH FIRST n ROWS ONLY clause, if it is specified
    • Does not process the OPTIMIZE FOR n ROWS clause
  • Use the recommended values for certain bind options.
    For more information about the recommended bind options, see BIND options for distributed applications.